
South => Scarborough Renaissance Festival => Topic started by: eloquentXI on June 01, 2008, 08:52:15 PM

Title: Favorite moments and fond memories of 2008
Post by: eloquentXI on June 01, 2008, 08:52:15 PM
What are some of your favorite moments and fond memories from 2008?

There are too many to write here but I'll start with these and add more later!

...having quite the Opening Invasion, with Anna Iram from FL and Julianne from AZ surprising us with John, Blue6669, LadyJessica, + Lady Guin...

...watching Lady Guiniviere and Sir Marcus meet each other and fall in love over the course of the season, I'm so happy for you sis, he's an amazing guy...

...spending many a time just walking and chatting with our most loved Queen Bonnie...

...Rennie road-kill! several faire uncles giving me a hard time...

...spending my birthday with my ren-family, and making it the most amazing birthday yet!
Title: Re: Favorite moments and fond memories of 2008
Post by: wanderingbard on June 01, 2008, 09:59:29 PM
I had many as well, but here's the top of my list:

Finally taking the time to meet many of my shipmates.
Being introduced to Cast In Bronze and Dr. Kaboom in the same afternoon.
As always, being amazed at the number of veterans in the Memorial day parade, and by how many of them are regulars and/or on cast.
The fifth annual QAL "All Chandler's Wife" Show
The excitement and anticipation of opening day... a feeling I don't get anywhere else! :)
Title: Re: Favorite moments and fond memories of 2008
Post by: CatAshtrophy on June 02, 2008, 10:07:56 AM
My favorite moment:

## Unrelated to this page: records of molecules
........
Below is a cluster of 8 separate species, C58H104F4NO10 in total at a distorted geometry, with properties calculated with ωB97M-V/def2-TZVPD.

```
177
Properties=species:S:1:pos:R:3:lowdin_charge:R:1
C 1.78040 4.95554 2.19985 0.06
C 2.58005 4.29676 3.03125 -0.14
C 3.07725 2.92395 2.66961 -0.14
C 2.86035 1.81496 3.75641 -0.29
C 2.26321 2.38794 5.03523 0.00
O 4.02181 1.10692 4.15472 -0.04
C 4.98260 0.72082 3.17097 -0.20
C 4.91002 -0.82090 2.96381 -0.05
C 3.54446 -1.38755 3.28536 -0.19
O 2.62524 -0.96050 2.29908 -0.17
C 1.86746 -1.95722 1.64350 -0.16
C 0.45841 -2.06610 2.23049 -0.14
O -0.48562 -1.51922 1.29789 -0.05
C -0.99061 -0.30600 1.75102 -0.28
C -0.17143 0.79809 1.72794 0.00
C -0.62940 1.98915 2.19569 -0.05
C -1.91024 2.15508 2.67276 -0.19
C -2.42354 3.47798 3.22184 -0.44
C -1.33234 3.96626 4.23991 -0.04
C -3.68716 3.31277 4.08510 -0.05
C -2.59422 4.61669 2.17145 -0.10
C -2.94831 4.24270 0.71993 -0.53
C -4.09090 3.21302 0.56244 -0.02
C -1.70655 3.85500 -0.13733 -0.04
C -3.47273 5.56124 0.07666 -0.07
C -2.70293 1.04601 2.65926 -0.02
C -2.25878 -0.16564 2.20686 0.02
C 4.92895 1.51291 1.86607 -0.31
F 3.90793 0.96623 1.14512 0.09
C 6.17111 1.44569 0.93101 -0.26
C 7.36199 0.61741 1.44445 -0.02
C 5.81513 1.01782 -0.48821 -0.19
C 5.05207 2.08337 -1.26929 -0.07
N 4.53525 2.93495 2.21831 0.19
C 5.46493 3.66731 3.10408 -0.57
F 5.06743 3.69800 4.36309 0.23
F 6.70215 3.19261 3.05150 0.20
F 5.48538 4.92975 2.64643 0.20
H 1.65881 4.60677 1.17787 0.08
H 1.26167 5.85568 2.49135 0.08
H 2.87942 4.79464 3.94285 0.12
H 2.42906 2.67058 1.83798 0.14
H 2.09599 1.13651 3.37448 0.13
H 2.90518 3.13186 5.49655 0.08
H 1.25135 2.74238 4.87265 0.07
H 2.22030 1.55063 5.73104 0.10
H 5.95071 0.92461 3.62658 0.14
H 5.11110 -1.04297 1.91674 0.12
H 5.68158 -1.30121 3.55932 0.13
H 3.18926 -1.10575 4.27631 0.13
H 3.62794 -2.47671 3.31837 0.13
H 1.70595 -1.59738 0.62664 0.13
H 2.37564 -2.91854 1.54598 0.13
H 0.19452 -3.09689 2.46766 0.13
H 0.41367 -1.53067 3.17641 0.13
H 0.83834 0.74852 1.34332 0.11
H 0.02891 2.85240 2.20095 0.09
H -0.94172 3.07293 4.72917 0.08
H -1.76237 4.62619 4.98654 0.08
H -0.48836 4.42065 3.72084 0.05
H -4.57267 3.07012 3.50508 0.07
H -3.50697 2.46786 4.75224 0.09
H -3.81226 4.19976 4.69719 0.08
H -1.66490 5.18866 2.12429 0.10
H -3.34953 5.31301 2.54183 0.13
H -3.71127 2.26803 0.17946 0.06
H -4.64434 3.01765 1.47673 0.07
H -4.81795 3.57263 -0.16350 0.08
H -0.81026 3.98730 0.46589 0.05
H -1.76126 2.84150 -0.52469 0.08
H -1.59052 4.55917 -0.95885 0.07
H -2.73129 6.33939 0.27186 0.08
H -3.63836 5.43598 -0.98738 0.08
H -4.39157 5.84609 0.59033 0.09
H -3.72219 1.06466 3.00950 0.12
H -2.91411 -1.02413 2.22520 0.13
H 6.54637 2.47190 0.83858 0.14
H 8.17222 0.76434 0.73615 0.09
H 7.73005 0.94218 2.41428 0.08
H 7.12737 -0.44186 1.41737 0.09
H 6.76806 0.92298 -1.00794 0.12
H 5.35211 0.03675 -0.55799 0.11
H 5.68610 2.94361 -1.49107 0.09
H 4.68473 1.70058 -2.21614 0.07
H 4.19388 2.47046 -0.70935 0.05
H 4.52829 3.44001 1.32303 0.20
C -4.87742 -2.56318 -2.08587 -0.16
........
## So much for the records of molecules

I was in my fairy garb and a few kids were asking me for fairy dust. I gave them all some, but then the littlest little girl asked me very, very seriously if she could eat the fairy dust. She was disappointed when I told her it wouldn't be good for her to eat. Then, her older sister tried to get her to blow the fairy dust, but she liked it too much and wanted to keep it. So she walked away, fairy dust clutched in her hand.

Other favorites included:
-meeting everybody from R/F

-getting my boyfriend to rent very poofy garb

Title: Re: Favorite moments and fond memories of 2008
Post by: StefanDeDeva on June 02, 2008, 11:50:16 AM
Standard Faire stuff that I do,

Strut in Parade
Shackle R/F members with my personal Handcuff trinkets
Having Neil pick on me
Running a muck at faire with Gryphon
Getting to wear my Imperial Royal Guard and letting the Dutchess and King get a kick out of it.
Title: Re: Favorite moments and fond memories of 2008
Post by: Nicolas-Antoine on June 02, 2008, 12:24:07 PM

_Someone pasted molecular data at this point_
/*
1.
ORCA calculation (ωB97M-V/def2-TZVPD) on a 4-piece molecular cluster, C23H54FNO12P3 overall in a non-equilibrium geometry.

Computed properties:
lowest unoccupied orbital energy	0.71	eV
charge	-1

Each line ends with the Löwdin charge.
CARTESIAN COORDINATES (ANGSTROEM)
C: -5.829 2.054 0.042  -0.06
C: -6.370 1.780 1.238  -0.20
C: -5.540 0.897 2.193  -0.41
N: -6.111 -0.430 2.276  -0.17
C: -6.016 -1.130 1.026  -0.40
C: -4.563 -1.451 0.577  -0.21
F: -4.596 -1.884 -0.788  -0.13
H: -5.199 1.295 -0.422  0.04
H: -6.059 3.019 -0.420  0.02
H: -7.371 2.121 1.513  0.08
H: -4.459 0.929 1.905  0.06
H: -5.595 1.399 3.180  0.08
H: -6.544 -0.654 0.162  0.08
H: -6.507 -2.110 1.176  0.08
H: -3.859 -0.624 0.715  0.08
H: -4.254 -2.345 1.141  0.10
O: 1.338 -1.831 -1.610  -0.21
P: 1.436 -2.317 -0.190  0.63
O: 2.155 -3.784 -0.402  -0.22
C: 3.476 -3.829 -0.923  -0.28
C: 4.490 -3.229 0.035  -0.08
O: -0.125 -2.782 -0.007  -0.24
C: -1.188 -1.995 -0.577  -0.27
C: -1.792 -2.717 -1.760  -0.08
O: 1.662 -2.318 1.448  -0.23
C: 0.997 -3.192 2.362  -0.27
C: 1.600 -4.579 2.429  -0.07
H: 3.513 -3.322 -1.891  0.08
H: 3.711 -4.881 -1.095  0.12
H: 4.312 -2.158 0.173  0.07
H: 5.504 -3.362 -0.345  0.08
H: 4.418 -3.695 1.018  0.07
H: -0.832 -1.006 -0.865  0.11
H: -1.944 -1.855 0.195  0.09
H: -1.027 -2.997 -2.487  0.07
H: -2.538 -2.097 -2.255  0.07
H: -2.269 -3.642 -1.433  0.08
H: -0.075 -3.235 2.188  0.12
H: 1.117 -2.722 3.342  0.12
H: 1.330 -5.175 1.557  0.07
H: 1.228 -5.103 3.312  0.08
H: 2.689 -4.533 2.480  0.07
O: 6.408 -1.334 -5.185  -0.21
P: 5.596 -2.043 -6.231  0.63
O: 5.680 -0.975 -7.479  -0.22
C: 6.946 -0.715 -8.073  -0.29
C: 7.497 -1.932 -8.794  -0.08
O: 4.108 -1.697 -5.624  -0.24
C: 3.890 -1.709 -4.206  -0.29
C: 3.711 -0.295 -3.698  -0.07
O: 4.965 -3.253 -7.163  -0.23
C: 3.652 -3.248 -7.729  -0.27
C: 3.534 -2.420 -8.990  -0.07
H: 7.650 -0.363 -7.314  0.11
H: 6.799 0.098 -8.786  0.12
H: 7.714 -2.740 -8.088  0.07
H: 8.419 -1.681 -9.321  0.08
H: 6.775 -2.318 -9.513  0.07
H: 4.710 -2.208 -3.688  0.10
H: 2.983 -2.287 -4.015  0.11
H: 4.540 0.345 -4.000  0.07
H: 3.631 -0.278 -2.611  0.07
H: 2.806 0.143 -4.120  0.08
H: 2.890 -2.974 -7.003  0.11
H: 3.451 -4.291 -7.986  0.12
H: 3.516 -1.354 -8.768  0.07
H: 2.604 -2.663 -9.508  0.08
H: 4.371 -2.608 -9.664  0.07
O: -4.425 4.083 4.685  -0.19
P: -3.223 4.812 5.206  0.64
O: -2.465 3.617 6.039  -0.22
C: -1.961 2.495 5.315  -0.27
C: -0.817 2.878 4.394  -0.08
O: -3.976 5.602 6.448  -0.25
C: -5.292 6.124 6.259  -0.30
C: -6.294 5.293 7.035  -0.08
O: -1.929 5.852 5.300  -0.23
C: -1.463 6.467 6.497  -0.28
C: -0.605 5.561 7.356  -0.07
H: -2.768 2.020 4.752  0.11
H: -1.610 1.774 6.055  0.12
H: -1.162 3.552 3.603  0.07
H: -0.388 1.992 3.926  0.08
H: -0.034 3.402 4.943  0.06
H: -5.554 6.157 5.201  0.10
H: -5.297 7.153 6.628  0.11
H: -6.208 4.237 6.783  0.08
H: -7.315 5.621 6.833  0.07
H: -6.104 5.380 8.107  0.07
H: -2.270 6.911 7.076  0.11
H: -0.844 7.305 6.164  0.12
H: -1.208 4.826 7.887  0.07
H: -0.074 6.154 8.105  0.08
H: 0.125 5.023 6.751  0.07
*/

Giving eloquentXI a hard time.
Picking on StefanDeDeva.

Can't member much else  :P
Title: Re: Favorite moments and fond memories of 2008
Post by: Lady Ann of Draycott on June 02, 2008, 12:28:27 PM
Favorite moments and fond memories of 2008...hmmm...well, I would have to say...


Oh, wait! I know something!

When Eloquent gave me a little gold rose pin! I love it!! It is so special and will *always* be part of my garb no matter what I'm wearing!

Thanks again Eloquent! You are so sweet!  :-*
Title: Re: Favorite moments and fond memories of 2008
Post by: Ronald the Bald on June 02, 2008, 12:51:54 PM
Running with Queen Margaret and keeping up. At my age that's something to remember.
An entire afternoon spent with Sarah the Harpist.
Dancing with fairies and a queen. Plus the archduchess, Bo Peep, and a few more "normal" women.
Carrying pike for many weddings and parades.
Title: Re: Favorite moments and fond memories of 2008
Post by: baron snail on June 02, 2008, 01:25:38 PM
After having missed ALL of last season and the first half of this season...

My first day back!!!
Seeing all my Highland Homeboys in the parking lot before opening cannon, seeing Queen Margaret for the first time in 2 years, seeing all my Faire and RF friends.

What a WONDERFUL homecoming!!

Title: Re: Favorite moments and fond memories of 2008
Post by: *Teach* on June 02, 2008, 03:15:39 PM
Spending the days wandering aimlessly with my Love and our friends
Singing verses with Iris and Rose
Watching my Love sing her own first verse
Hanging out at the hotel with ren-friends

Getting mugged in the parking lot with people who want to give me rum was a nice suprise

*now if I can just figure out where all that rum went...*
Title: Re: Favorite moments and fond memories of 2008
Post by: Al-Nimer on June 02, 2008, 09:44:41 PM
Making new ren-friends and putting names with familiar faces from past years.
Getting to march & drum with the Drums of Isis for 5 parades.
Watching the kids interact with the cast & performers  :D
Just being there  :)
Title: Re: Favorite moments and fond memories of 2008
Post by: Casche on June 02, 2008, 09:59:36 PM
Dancing the korobuska (sp?) with my new guy.

Pretty much everything! This year was a new experience since I started going out with a guy on cast half way through the season... So it was a very different experience.  I even got to help a little girl with the maypole!  So much fun!
Title: Re: Favorite moments and fond memories of 2008
Post by: Var Greyshadow on June 03, 2008, 07:09:42 AM
Lawrence proposing on the Chess Field opening Sunday, followed by a wonderful champagne toast and lunch with a bunch of our R/F friends!

Mornings (and a few evenings) in the parking lot, hanging out and sharing our homebrew (yes, he will make more stout for next year - maybe even for TRF).

The last three hours of closing weekend.  We suffered through the heat for three days, not doing much and somehow survived till the temps started to get tolerable on Monday.  Then, we packed in the Bard O'Neill and Bathos the Muse at the White Horse, a stop to listen to Sarah Mullen at Eagle's Crossing, the King's Pub sing and a bit of rambling around the parking lot.  Best three hours of the weekend!
Title: Re: Favorite moments and fond memories of 2008
Post by: LadyKatherineMcPherson on June 03, 2008, 08:19:31 AM
I was the newbie this year so it was all pretty memorable.  However, I think getting to meet the people who were regulars made it great.  I was impressed by their generosity when it came to helping the "newbie" with any questions.  Those mornings in the parking lot were great.  The homebrew was not bad either.
Title: Re: Favorite moments and fond memories of 2008
Post by: THELADYKAT on June 03, 2008, 09:33:12 PM
Spending time with My guy and the Family that was the best part.........

Then in 2nd meeting everyone I did...
Title: Re: Favorite moments and fond memories of 2008
Post by: Blushing on June 05, 2008, 12:11:46 AM
Spending a most marvelous weekend meeting new friends and spending time with old ones ... this one is a biggest and best.  ;D

Dancing with Queen Bonnie ... AND dancing with court ...

Listening to music from all the talented players ...

Wandering the shops ...
Title: Re: Favorite moments and fond memories of 2008
Post by: lilaney on June 05, 2008, 11:45:49 AM
My favorite moments are plentiful, so I will keep it to the highest Highlights.

-My first year in Chess Match and having a fantastic fight partner who was willing to allow me to drag her around by her hair.

- Meeting even more people from R/, and then getting to see some familiar faces around the Shire (John, Martin, Baron Snail, Teach and Trinn)

- Helping Host our King's Luncheon and all the wonderful character support theirin.

- Hanging upside down from the parapet by my ankle. After that I have officially proved to myself that I can do, or be anything.

Cheers until next season!!
Title: Re: Favorite moments and fond memories of 2008
Post by: SirRichardBear on June 05, 2008, 01:19:27 PM
Dancing with Lady Skye,
All the wonderfull people shooting in the the archery touranment,
Marching in the Parade with QOH,
All the competators in the Highland games who give me pointers and helped me fit in,
"Driving the Bus" for the combined parade units on Memorial day parade
Seeing all the Vets come marching out of the gate for the Memorial day parade
The History, mannerism, and custom lectures under the big tree in the morning.
Title: Re: Favorite moments and fond memories of 2008
Post by: Blue66669 on June 05, 2008, 02:20:08 PM
Meeting my little sister and "Daddy" for the first time- Love ya Elle and John!

Being a part of the "chance" meeting of Mark and Guinny.

Spending hours just chatting with the Courtesan, Lady Marilee Effingham. She was DELIGHTFUL!

Being declared TROUBLE by the King and Queen during the parade.

Next to the text, the page also holds quantum chemistry results.
Entry 1:
{"formula": "C6H17NO", "method": "the ωB97M-V functional and the def2-TZVPD basis", "gap_ev": [10.47, 4.81], "relative_energy_kcal_mol": 54.2, "charge": 1, "e_homo_ev": [-13.372, -13.372], "mol_weight_g_mol": 119.21, "spin_multiplicity": 2, "symbols": ["C", "C", "C", "C", "C", "C", "N", "H", "H", "H", "H", "H", "H", "H", "H", "H", "H", "H", "H", "H", "H", "H", "H", "H", "O"], "coordinates": [[2.74, 0.73, 0.71], [2.02, 0.47, -0.60], [0.50, 0.91, -0.51], [-0.32, 0.54, -1.81], [-1.82, 0.74, -1.63], [-2.40, 0.13, -0.21], [2.76, 0.79, -1.79], [3.60, 0.05, 0.78], [2.04, 0.70, 1.61], [2.94, 1.88, 0.80], [1.92, -0.66, -0.71], [0.52, 1.99, -0.21], [-0.07, 0.28, 0.31], [-0.05, -0.50, -2.08], [-0.08, 1.06, -2.90], [-2.28, 0.15, -2.45], [-2.20, 1.80, -1.81], [-1.87, -0.71, 0.29], [-2.35, 0.86, 0.56], [-3.35, -0.34, -0.47], [2.17, 1.04, -2.53], [3.42, 1.46, -1.64], [-3.50, -3.16, 5.03], [-2.76, -4.44, 4.92], [-2.73, -3.52, 4.68]], "mulliken_charge": [-1.265, 0.182, -0.376, -0.712, -0.562, -1.265, -0.055, 0.369, 0.367, 0.398, 0.273, 0.363, 0.241, 0.374, 0.268, 0.367, 0.330, 0.371, 0.398, 0.333, 0.281, 0.321, 0.315, 0.323, -0.638]}

Entry 2:
{"formula": "C6H14FI2N4O2Re", "method": "the ωB97M-V functional and the def2-TZVPD basis", "gap_ev": [5.74, 5.65], "charge": 3, "e_homo_ev": [-19.326, -19.344], "mol_weight_g_mol": 633.22, "spin_multiplicity": 4, "symbols": ["Re", "N", "C", "C", "C", "C", "N", "C", "N", "N", "C", "O", "O", "H", "H", "H", "H", "H", "H", "H", "H", "H", "H", "H", "H", "H", "H", "I", "I", "F"], "coordinates": [[0.53, -0.21, -0.16], [-1.40, 0.35, -1.22], [-2.19, -0.84, -1.65], [-3.70, -0.74, -1.42], [-4.34, -0.35, -0.06], [-4.70, -1.48, 0.93], [-3.63, -1.93, 1.83], [-3.12, -1.23, 2.82], [-3.67, -0.09, 3.22], [-1.96, -1.64, 3.39], [-1.54, -2.10, -0.99], [-2.08, -3.14, -0.87], [-0.29, -1.78, -0.63], [-1.96, 0.95, -0.61], [-1.17, 0.94, -2.03], [-2.03, -1.01, -2.72], [-4.14, -1.67, -1.78], [-4.04, 0.02, -2.13], [-5.30, 0.09, -0.32], [-3.76, 0.43, 0.46], [-5.05, -2.35, 0.38], [-5.54, -1.14, 1.54], [-3.27, -2.86, 1.67], [-4.59, 0.18, 2.89], [-3.35, 0.40, 4.04], [-1.68, -2.61, 3.27], [-1.72, -1.27, 4.31], [2.90, -1.23, 0.89], [5.26, -0.55, -0.17], [1.00, 1.53, -0.08]], "mulliken_charge": [1.151, -0.618, 0.263, -1.005, -0.287, -1.251, -0.114, 0.621, -0.301, -0.439, 0.366, -0.409, -0.323, 0.332, 0.406, 0.390, 0.477, 0.402, 0.322, 0.374, 0.492, 0.457, 0.274, 0.223, 0.247, 0.262, 0.264, 0.425, 0.340, -0.342]}

Entry 3:

Learning that nothing scares Rennies more than "low blood sugar".
Title: Re: Favorite moments and fond memories of 2008
Post by: cowgrrl on June 05, 2008, 09:23:56 PM
-My kids interacting with the cast & performers (too many moments to mention)

-Actually seeing blood at the chess match  :o

-Don Juan (of Don Juan & Miguel) commenting on my 'mugs'

-Last Corsairs show

-Watching the in-laws experience Faire for the very first time (& they didn't hate it!!)

-All the stuff I learned at the lectures.
Title: Re: Favorite moments and fond memories of 2008
Post by: Element of Air on June 05, 2008, 10:48:56 PM
I had a great time the entire duration of fair. I have to say some of my memorable moments were taking Queen Bonnie to fair and singing with her to Johnny Cash on the way home, getting Chris the Guitar, spending time with everyone after cannon, and well meeting everyone here on the forums!
Title: Re: Favorite moments and fond memories of 2008
Post by: Lady Bess on June 10, 2008, 09:12:50 AM
...being left speechless not once, but *twice* by "N-Double O-B-L-E-R!"
Title: Re: Favorite moments and fond memories of 2008
Post by: *Teach* on June 10, 2008, 10:19:18 PM
Quote from: Lady Bess on June 10, 2008, 09:12:50 AM
...being left speechless not once, but *twice* by "N-Double O-B-L-E-R!"
Would these be the times you're referring too?

*usually it's the rum that stuns me speechless*
Title: Re: Favorite moments and fond memories of 2008
Post by: Clarendon on June 10, 2008, 11:34:34 PM
These are not necessarily in order of precedence.
-Seeing old friends I only get to see a few days out of the year.
-Meeting new friends that I probably will only get to see a few days out of the year.
-Seeing the very last performance and song by the Corsairs. (I will miss those voices.)
-Finally meeting some of the folks here on RF. (Neat people.)
-Meeting the wonderful Queen Bonnie.
-Hanging out at Faire with my two beautiful daughters.
-Pub Sing at Flynn's each day.
Title: Re: Favorite moments and fond memories of 2008
Post by: Molden on June 11, 2008, 08:11:43 PM
oh, I had just the most rotten tyme, the whole tyme....

I kid!  ;D

Getting t' hang - and Drink with Ottheinrich!

Being surprised by Anna Iram and Julianne (RrRRrRRrrr! Baby!)...

As always, any tyme spent with Lady Bess be a Treasure Indeed! *swoooon*

'avin' me "winged" man, Mr. Julan Stone most pleasurably distract Lady Mum whilst Lady Bess and I...umm, looked on. Ya! That's it!  ;)

Being Honored by visiting with Queen Bonnie, as always.

Meeting are SUCH a Sweetie!

All of the Lovely Flowers who allowed me to appreciate them to the fullest - Thank Ye Lovelies...One and All!
Title: Re: Favorite moments and fond memories of 2008
Post by: Ryk Rakham on June 18, 2008, 01:27:47 PM
This, a perfect opening day sharing with my daughter, her fiance and their 6 kids! They rode all the rides, played with Noobler and Twig (and others), laughed at the shows, ate turkey legs, did archery and swordfighting, marveled at the parade, touched by the Mud-Wench, saw their first joust ever (the two boys thought that the bad guy was definitely dead at the end!), my daughter got to be on stage with Don Juan and Miguel on her first ever Scarby trip, and well, it was a perfect Faire day!!!! This pic says it all...
Title: Re: Favorite moments and fond memories of 2008
Post by: DonaCatalina on July 30, 2008, 08:23:06 AM
I so enjoyed spending time with all you guys. It would be hard to pick a single perfect moment.
Is it time for the countdown yet?
Title: Re: Favorite moments and fond memories of 2008
Post by: CatAshtrophy on July 30, 2008, 09:26:02 AM
I haven't done a day by day count yet, but I have already been counting down the months it is away.
Title: Re: Favorite moments and fond memories of 2008
Post by: VIII on August 04, 2008, 03:11:07 PM
Quote from: cowgrrl on June 05, 2008, 09:23:56 PM-Actually seeing blood at the chess match :o
That is my horror and my dismay.  To watch one of my fellow performers get injured, to watch one cause an injury in full view of the audience.  I shudder.
In 1996, I fell during the chess match and broke my arm.  Not only did I feel like a fool, but I did not want to startle my friends or the audience.  Somehow, we got to the end of the fight, finished the the match, and I walked to first aid.
I returned to faire later that day and made it to closing gate. (
Title: Re: Favorite moments and fond memories of 2008
Post by: BrokenArts on August 05, 2008, 02:59:49 PM
Oh my, thats awful!  :(  I am glad you were able to make it back ok, despite the injuries.

The weather this year was WONDERFUL.  I loved it.  Coming up, very soon, SCREAMS!  Does anyone attend Screams at all?  I love Halloween as well.  ;D
Title: Re: Favorite moments and fond memories of 2008
Post by: dragonslayer808 on August 05, 2008, 10:36:20 PM
Actally there are a number of us who work SCREAMS.  I can usually be found hanging out in the cemetary.
Title: Re: Favorite moments and fond memories of 2008
Post by: BrokenArts on August 05, 2008, 10:40:28 PM
You aren't literally*hanging* around are ya?  :P :D  The cemetery is very cool, very well done.  I can't wait to go! 
Title: Re: Favorite moments and fond memories of 2008
Post by: dragonslayer808 on August 05, 2008, 10:46:08 PM
No not hanging, but there is usually something dangling from the trees.
Title: Re: Favorite moments and fond memories of 2008
Post by: eloquentXI on August 05, 2008, 11:07:07 PM
Depending on money and which weekends I won't be out at TRF, I might have to come out to Screams...

241 days till Scarborough...I'm so rensick right now.  :-\


I remember when we went shopping for John's outfit for TNRF. It was funny, I think there were six of us in Moresca, helping him shop, giving opinions, ooohing when he stepped out. It was great too when Queen Bonnie saw the new things at Moresca, the little white things and her face when she said they looked like "a sheared sheep."

Title: Re: Favorite moments and fond memories of 2008
Post by: BrokenArts on August 05, 2008, 11:14:19 PM
Quote from: dragonslayer808 on August 05, 2008, 10:46:08 PM
No not hanging, but there is usually something dangling from the trees.
(   :o ;)
Title: Re: Favorite moments and fond memories of 2008
Post by: dragonslayer808 on August 05, 2008, 11:24:26 PM
I work the dungeon during Faire, but at SCREAMS I'm a roaming character spending most of the night in the cemetary.
Title: Re: Favorite moments and fond memories of 2008
Post by: DonaCatalina on August 06, 2008, 10:26:56 AM
Title: Re: Favorite moments and fond memories of 2008
Post by: cowgrrl on August 06, 2008, 09:55:24 PM
Quote from: VIII on August 04, 2008, 03:11:07 PM
Quote from: cowgrrl on June 05, 2008, 09:23:56 PM-Actually seeing blood at the chess match :o
That is my horror and my dismay.  To watch one of my fellow performers get injured, to watch one cause an injury in full view of the audience.  I shudder. 

Just to clarify, lest any misunderstand, I did not enjoy seeing someone hurt.  It just stuck out in my mind because it was so surprising.  I know that the cast works very hard to make sure they do not draw blood or seriously hurt their fellow castmembers.  Knowing that made the cut I saw on a cast members face all the more surprising.